World Tree MUSH

Placeholder Title

Character Pose
  The realm of Hyrule is vast and varied, but most of its northern reaches end in jagged, crumbling peaks that see snow for most if not all of the year. These inhospitable reaches are where the remote Snowpeak Garrison was built generations ago, abandoned, and later renovated. The compound keeps a low profile with a series of squat, connected buildings and an open courtyard. The central tower is the only structure with any real height, its rebuilt roof steep enough to shrug off the snow.

Snowpeak's courtyard is swept and clean, its trees long since barren this late into autumn. Little signs here and there describe occupancy: Torches along the outer battlements, extinguished in the afternoon sun; fresh hay piled near the stable building. New stone pockmarks the old, light against the faded dark grante. The nearest Vines are a ways down the mountain path, so some hiking is necessary -- but the path is obviously maintained, with old pine flagpoles marking the way, their tattered pennants of red faded and frayed.

The sound of hooves on the path is enough to alert any travellers to company, and presently a figure rounds the bend in the path and comes into view of the vine, headed uphill towards the garrison -- a massive black monster of a warhorse, the kind meant to carry a fully-armoured knight, six feet at the withers. Its sheer size dwarfs its rider, a slender figure that is either a young woman or a very feminine young man, cloaked all in black, with a bow held across its lap and a quiver full of arrows at the hip.

Neither horse nor rider seem to be in any particular hurry.
Mariam is off exploring worlds trying to figure out a solution to her worlds problems. She's not on a horse. She's actually on her broom, sitting side saddle and shivering so hard she's making her path wobble a bit on the broom. She shoves her hands directly into her Owl's feather fluff impossibly deep and starts rooting around. This makes the owl sitting on the back of the broom jump a moment but she frowns. "I guess I left the jacket at home. I need to pack it in you..." she says thoughtfully as she seems a bit distracted from the cold and desperately trying to find her jacket.

Hooty however, points downwards towards a fortress. and a big black horse approaching it. That doesn't... look like an attack. And it's rider doesn't exactly look like black rider wanting to attack it. Thusly, she spins downwards and seems to come to a sloooow pace next to the horse, still on her broom. She holds her hands up. "Uhm. Hi! I come in peace!" she says, a show that she isn't holding a weapon or anything. Nope. "Hey uh."

"You see any big glowing orbs um... artifacts of power... stuff like that up here? Anything at all?" she asks.
  Horse and rider keep right on trudging uphill, taking no real heed of the broom floating up above. They continue to ignore it until it insinuate itself beside them, keeping pace much more easily. This close, it's clear that the going is slow. The horse is having to churn a path through the drifts, although it seems to manage by size alone.

Mariam might get covered in churned-up snow if she gets too close, though.

"You come in peace, but you seek artefacts of power?" One might have the impression of a brow arching. The figure's voice is that of a young woman, its inflections suggesting high aristocracy. The hood doesn't move, as though she were staring at the broom-rider, whoever she is. She doesn't speak right away; just stares, thoughtful.

The hood tilts ever so faintly to one side, keeping balance easily as the horse digs its way through the drifts. Quiet and soft-spoken she may be, but this is no novice; subtle power radiates from her. For the moment, though, she seems more curious than offended. "Dark times are upon this realm. Such a thing could wreak great harm. Even if I knew the location of such things... why should I tell you so easily?"

She never moves, but her hood tilts to one side, and she reaches up to sweep it back. Young woman indeed; two and twenty, perhaps, with hair of rich chestnut drawn into a simple braid and eyes of mild summer-blue. She watches Mariam curiously. "Who are you, and where do you hail from? Why do you come here to this desolate land? And most importantly to me, why do you come so blithely seeking that which is potentially dangerous, and also valuable? Unfortunately there is nothing here to seek, but I would know, all the same."
Mariam has to sort of hover the broom back a bit, and she tilts the broom so she's facing Zelda head on. The broom is still moving though without her input, backwards. She's still sitting side saddle on it. She did get snowed on and she quickly fthwaps it away a little with a hand. "Ah... excuse me." she says bluntly. "My name is Mariam Highscribe. I sensed.... well. My Owl. Sensed. some sort of power on this world and I've come exploring. My world, Pandemonium, is in danger of dying, you see.... as a black void slowly starts to swallow it up." she says tersely.

"I'm here seeking anything that might close it. Usually. Things like that always seem to be further from civilization and.... the snowy peaks I saw seemed like a good place to start." she says with a curt, matter of fact nod. She does take in her manner of speech, as she thinks about it a little.

"So is the... castle... fort up on the mountain, yours?" she asks curiously.

"Dark times, you say?" she asks. "What troubles your world?" she asks, as she places both hands down against her broom as it still travels at the speed of Zelda's horse.

Hooty, the black feathered and yellow eyed owl is just sitting on the back of her broom. Looking a little grumpy. Probably the cold.
  Another subtle touch of the reins brings the warhorse to cease his struggling through the snow, breath digging as he flicks his ears back. The young woman shakes her head and sighs; it's silent, but visible as a plume of fog. "A common story in a great many realms. The darkness is rather more literal, here."

**These materials data were left in the page by mistake**
/*
Entry from the Alexandria database: an optimized crystal structure of La2MnBeFe (GGA-PBE).

Calculated values
Symmetry: P4/mmm (123)
Formation energy from the elements: 0.61 eV/atom

Geometry as POSCAR:
```
La2MnBeFe
1.0
5.320 0.000 0.000
0.000 4.143 0.000
0.000 0.000 5.320
Fe Mn Be La
1 1 1 2
Direct
0.000 0.500 0.000
0.000 0.000 0.000
0.500 0.500 0.500
0.000 0.000 0.500
0.500 0.000 0.000
```

* * * * *

[1]
DFT (PBE) results for a geometry-optimized TaVI2N structure.

- DOS(E_F): 0.9318 states/eV/atom
- Formation energy from raw total energies: 0.53 eV per atom
- Energy above the most stable polymorph in this dataset: 0 meV/atom
- Mass density: 6.6 g cm⁻³

Cell: 5.6737 5.6737 3.9080 Å, 90.00 90.00 90.00°
Last column: nearest neighbours and their distance in Å.
Sites, in units of the cell vectors:
V  0.5000  0.5000  0.5000  8 I 3.44
N  0.0000  0.0000  0.5000  2 Ta 1.95
I  0.5000  0.0000  0.0000  2 Ta 2.84
I  0.0000  0.5000  0.0000  2 Ta 2.84
Ta  0.0000  0.0000  0.0000  2 N 1.95

---

[2]
DFT (PBE) results for a geometry-optimized La2Co2Ag structure.

- DOS(E_F): 0.9886 states/eV/atom
- E_form: -77 kJ/mol of formula units
- Energy above the most stable polymorph in this dataset: 0 meV/atom
- Mass density: 7.4 g cm⁻³

Cell: 4.0053 3.9824 7.3228 Å, 105.78 90.00 90.00°
Last column: nearest neighbours and their distance in Å.
Sites, in units of the cell vectors:
Co  0.0000  0.7896  0.5793  2 Co 2.28
Co  0.0000  0.2104  0.4207  2 Co 2.28
La  0.5000  0.6337  0.2674  6 Co 2.97-3.02
La  0.5000  0.3663  0.7326  6 Co 2.97-3.02
Ag  0.0000  0.0000  0.0000  2 Co 2.96

---

[3]
DFT (PBE) results for a geometry-optimized TeMo3 structure.

- DOS(E_F): 0.9961 states/eV/atom
- Formation energy from raw total energies: 0.46 eV per atom
- Energy above the most stable polymorph in this dataset: 159 meV/atom
- Mass density: 9.6 g cm⁻³

Cell: 8.5103 8.5103 8.5103 Å, 21.39 21.39 21.39°
Last column: nearest neighbours and their distance in Å.
Sites, in units of the cell vectors:
Mo  0.7560  0.7560  0.7560  3 Mo 2.65, 3 Te 2.88
Mo  0.5000  0.5000  0.5000  6 Mo 2.65
Mo  0.2440  0.2440  0.2440  3 Mo 2.65, 3 Te 2.88
Te  0.0000  0.0000  0.0000  6 Mo 2.88, 6 Te 3.16

* * * * *

No. 1
Density functional theory data (meta-GGA SCAN) for a PBEsol-optimized structure of TcPtAu2.

```
TcPtAu2
1.0
0.000 3.158 3.158
3.158 0.000 3.158
3.158 3.158 0.000
Tc Pt Au
1 1 2
Direct
0.000 0.000 0.000 Tc
0.500 0.500 0.500 Pt
0.250 0.250 0.250 Au
0.750 0.750 0.750 Au
```

Computed properties:
Fermi-level density of states, states/eV per cell: 2.96
SG: Fm-3m (225)
Energy above the most stable polymorph in this dataset, meV per atom: 208
Energy of formation, eV/atom: 0.320
Total DFT energy (no corrections), eV/cell: -242.29

No. 2
Density functional theory data (meta-GGA SCAN) for a PBEsol-optimized structure of TcPt2Au.

```
TcPt2Au
1.0
0.000 3.128 3.128
3.128 0.000 3.128
3.128 3.128 0.000
Tc Pt Au
1 2 1
Direct
0.000 0.000 0.000 Tc
0.250 0.250 0.250 Pt
0.500 0.500 0.500 Pt
0.750 0.750 0.750 Au
```
*/
**End of the materials data**

She gestures downhill. Far across the plains, a tiny castle is visible, surrounded by a confluence of at least two rivers. Darkness seethes around it; the sky beyond it takes on a peculiar orangish cast. One can almost imagine embers dancing in such a sky.

The rider is silent for a moment, expression a neutral mask. Is the garrison hers?

"No." She shakes her head. "I live there, but it is not mine."

Dark times?

"It would take too long to explain. Suffice it to say, travel the roads with caution, for they are not safe in recent years." The young woman eyes the witch. "If you need shelter before continuing your search, there are guest rooms up ahead, and a hot meal or two. In exchange you will be asked not to wander the grounds, or to search for your artefacts within its walls."